Sweaty palms? Self-doubt and trouble concentrating? Panic, racing thoughts, and obsessive thoughts? Holistic anxiety counseling in Waterford, Connecticut supports coping in healthy ways. Many times, couples get into fights where there is anxiety about money. As well, teenagers with anxiety may avoid going to school or have poor grades. Anxiety can feel like a tornado coming over and it can feel helpless. So, from therapy for anxiety, you can have a safe space to feel heard. From there, you can gain positive, holistic strategies to heal and develop resilience.
What are people anxious about? Holistic anxiety counseling in Waterford, Connecticut
There are a lot of things people have anxiety about. For instance, California bushfires, COVID-19, and working from home can cause anxiety. As well, experiencing a lockdown, furlough, Black Lives Matter, and social media can cause anxiety. Additionally, you may feel anxious and have a panic attack about the uncertainty of the future. You may have anxiety about bad things from the past happening all over again. Also, anxiety can come from many difference areas, especially when you have past trauma. Notably, when you have anxiety, you may have a hard time building friendships. Plus, parents who have anxiety can accidentally pass anxiety to their children. Anxiety can get in the way of enjoying life, and living your best life.
How can anxiety counseling in Waterford, Connecticut help lower anxiety?
Healthy coping skills help you take control of your worries, traumas, and negative emotions. When you have anxiety, you may goto the bar and drink too much alcohol. Also, you may start skin picking, nail biting, or pick acne out of anxiety. Often times, when children have anxiety about loss and grief they ask cornering questions about death. When a parent has anxiety, it might cause a child to feel unheard. Also, with anxiety, children may lash out or become angry. Even with anxiety, adults may feel out of balance or overwhelmed. Tearfulness, crying, and panic attacks are common with anxiety too.
To begin, click the button below to book a phone consult for holistic anxiety counseling in Waterford, Connecticut.
And, those who suffer from anxiety disorders may have encountered so many additional triggers over years. Suffering from sexual abuse, emotional abuse, or physical abuse creates high levels of anxiety. As well, this year many people become too overwhelmed and need coping tools. Holistic coping tools can all you to help yourself.

With anxiety, it is common to fall back into old patterns that only make anxiety worse.
Going to a bar and drinking alcohol only masks anxiety. Even though drinking alcohol or reckless sex numbs out emotional pain, it does create emotional safety. Cheating, lying, and secret keeping are side effects of negative anxiety coping mechanisms. Learning positive coping tools in anxiety counseling in Waterford, Connecticut can help you find healthy ways to release. We offer painting, art therapies, drama therapies, yoga therapies, walking therapies by the beach, and music therapies. Yoga therapy can also be a great way to overcome and nurture your anxiety.
In time, anxiety counseling in Waterford, Connecticut can provide emotional safety tools.
Now, bad ways to cope with anxiety can leads to depression, alcoholism, substance abuse, cognitive trouble, increased risk for harmful accidents, and a weakened immune system. From learning anxiety coping tools, you can feel confident overcoming anxiety. From there, you can get clearer in your thinking to use your toolbox of skills.

Holistic coping skills to help you overcome anxiety.
These methods can help put you or keep you on the path of getting control of your life and anxiety.
When Good Anxiety Turns Bad
A little anxiety is actually good. Good stress keeps us motivated and excited about life. It also helps predict and avoid harm by surviving in the face of threats both basic (such as rotten food) and complex (such as questionable ways of spending money).
But anxiety becomes unhealthy when excessive and intrusive worrying disrupts your daily functioning.

Types and Symptoms of Bad Anxiety
Anxiety disorders are the most common of mental disorders and, as you can see, they take many forms:
Generalized anxiety disorder – excessive, unrealistic worry and tension with little or no reason.
Panic disorder – sudden, intense fear that causes a panic attack, with sweating, chest pain, palpitations, and sometimes the feeling of choking or having a heart attack.
Social anxiety disorder (social phobia) – overwhelming, obsessive worry and self-consciousness about everyday situations.
Specific phobias – intense fears of a specific object or situation, causing you to avoid it.
Separation anxiety – fear when a person you’re close to leaves your sight; worry that something bad may happen to them.
Medication-induced anxiety – anxiety disorder symptoms triggered by certain medications or illegal drugs, or withdrawal from certain drugs.
Causes of Bad Anxiety
Anxiety disorders can run in families, and relates to control, fear and scared emotions. Also, anxiety can be linked to environmental stress such as childhood abuse and neglect. You may have high anxiety after the death of a loved one, or being attacked or seeing violence.
What Makes Anxiety Worse
Some people think they’re dealing with their anxiety but they’re actually feeding it. Here are the ways that can happen.
Assuming Control
Some people think if they exhaustively research every angle of a problem, anxiety increases. As well, when you meticulously plan your lives, you increase your anxiety.
But, overthinking causes you to dwell on your problems, which only makes them seem worse. And, setting up expectations usually leads to disappointments, which leads to greater anxiety. By lowering your expectations, you can lower your anxiety.
To begin, click the button below to book a phone consult for holistic anxiety counseling in Waterford, Connecticut.

On the opposite end, procrastinating or sticking your head in the sand only means you’ll have to deal with your repressed emotions later. And avoiding what brings you fear only magnifies it in your mind.
Comfort Crutches
If you’re indulging in alcohol to numb your feelings and lull yourself to sleep, or gorging on fattening foods for that sugar high and comfort, you’re only sabotaging yourself. Alcohol and food, as well as drugs, can provide temporary happiness, but it won’t lead to long-term healing.
Alcohol changes the levels of serotonin and other neurotransmitters in your brain, which can worsen anxiety; in fact, you may feel more anxious after the alcohol wears off.
And the refined carbohydrates in junk food can cause blood sugar to fluctuate, with extremely low blood sugar causing panic attacks, insomnia, and other anxiety symptoms. And the lack of omega-3 fatty acids in fried foods can cause your brain to mimic anxiety symptoms.
Parking yourself in front of the TV for hours or obsessively scrolling on your phone, especially close to bedtime, can also feel like a comfort. But the media immersion can cause sleep problems, which lead to depression and anxiety from the effects of blue light.
What Makes Anxiety Better
Anxiety isn’t curable, but it’s treatable. There are several ways to help dial back out-of-control worries so that you can get on with your life.
Get Out of Your Head Space
Give the anxiety part of your brain a vacation by putting new mental muscles to use as well as your physical muscles.
Relax with music and art, which have a positive effect on psychological states, reducing negative emotions and improving positive ones — regardless of your talent level.
And set aside time for regular exercise. It releases feel-good endorphins, natural cannabis-like brain chemicals, and other natural brain chemicals that can enhance your sense of well-being. Good aerobic exercises to help manage anxiety include swimming, biking, running, brisk walking, tennis, and dancing.

To begin, click the button below to book a phone consult for holistic anxiety counseling in Waterford, Connecticut.
Compartmentalize Your Anxiety
If you tend to be an overthinker, trick your brain into still thinking, but in more productive ways.
For example, set aside a specific time each day for “worrying,” giving you the opportunity to still get out all of your thoughts and feelings, but then move on. This will give you more energy throughout the day to devote to other things.
Also, try a mindfulness practice such as meditation or yoga to help you quiet your thoughts.
Connect with a Professional
Therapy can help alleviate anxiety on several fronts: Not only can you learn the best ways to succeed at these tips, but you can lessen your isolation by connecting with someone new. Think of it as having a personal trainer for your emotional wellness.

Attached: materials data.
Entry 1:
Below is a geometry-optimized Ce2MgSe4 structure, with properties calculated at the PBE level.

The structure in POSCAR format:
```
Ce2MgSe4
1.0
-2.359 0.004 -8.097
5.785 -4.739 -1.687
-7.371 -9.761 2.143
Ce Mg Se
8 4 16
Direct
0.044 0.750 0.313 Ce
0.956 0.250 0.687 Ce
0.456 0.250 0.813 Ce
0.544 0.750 0.187 Ce
0.068 0.250 0.031 Ce
0.932 0.750 0.969 Ce
0.432 0.750 0.531 Ce
0.568 0.250 0.469 Ce
0.184 0.250 0.413 Mg
0.816 0.750 0.587 Mg
0.316 0.750 0.913 Mg
0.684 0.250 0.087 Mg
0.145 0.497 0.843 Se
0.855 0.503 0.157 Se
0.355 0.503 0.343 Se
0.645 0.497 0.657 Se
0.645 0.003 0.657 Se
0.355 0.997 0.343 Se
0.855 0.997 0.157 Se
0.145 0.003 0.843 Se
0.899 0.250 0.452 Se
0.101 0.750 0.548 Se
0.601 0.750 0.952 Se
0.399 0.250 0.048 Se
0.212 0.750 0.109 Se
0.788 0.250 0.891 Se
0.288 0.250 0.609 Se
0.712 0.750 0.391 Se
```

Summary:
Magnetization in μB per formula unit: 2.00
E in eV per atom: -5.4011

***

Entry 2:
Below is a geometry-optimized SmCd20Pd2 structure, with properties calculated at the PBE level.

The structure in POSCAR format:
```
SmCd20Pd2
1.0
0.000 7.969 7.969
7.969 0.000 7.969
7.969 7.969 0.000
Sm Cd Pd
2 40 4
Direct
0.500 0.500 0.500 Sm
0.750 0.750 0.750 Sm
0.569 0.302 0.302 Cd
0.302 0.569 0.826 Cd
0.302 0.826 0.569 Cd
0.826 0.302 0.302 Cd
0.302 0.302 0.569 Cd
0.569 0.826 0.302 Cd
0.826 0.569 0.302 Cd
0.302 0.302 0.826 Cd
0.302 0.569 0.302 Cd
0.826 0.302 0.569 Cd
0.569 0.302 0.826 Cd
0.302 0.826 0.302 Cd
0.681 0.948 0.948 Cd
0.948 0.681 0.424 Cd
0.948 0.424 0.681 Cd
0.424 0.948 0.948 Cd
0.948 0.948 0.681 Cd
0.681 0.424 0.948 Cd
0.424 0.681 0.948 Cd
0.948 0.948 0.424 Cd
0.948 0.681 0.948 Cd
0.424 0.948 0.681 Cd
0.681 0.948 0.424 Cd
0.948 0.424 0.948 Cd
0.862 0.862 0.138 Cd
0.138 0.138 0.862 Cd
0.862 0.138 0.862 Cd
0.138 0.862 0.138 Cd
0.138 0.862 0.862 Cd
0.862 0.138 0.138 Cd
0.388 0.388 0.112 Cd
0.112 0.112 0.388 Cd
0.388 0.112 0.388 Cd
0.112 0.388 0.112 Cd
0.112 0.388 0.388 Cd
0.388 0.112 0.112 Cd
0.125 0.625 0.625 Cd
0.625 0.125 0.625 Cd
0.625 0.625 0.125 Cd
0.625 0.625 0.625 Cd
0.625 0.125 0.125 Pd
0.125 0.625 0.125 Pd
0.125 0.125 0.625 Pd
0.125 0.125 0.125 Pd
```

Summary:
E in eV per atom: -1.6464

***

Entry 3:
Below is a geometry-optimized Na2Y2Ta6Si7S5O48 structure, with properties calculated at the PBE level.

The structure in POSCAR format:
```
Na2Y2Ta6Si7S5O48
1.0
17.843 -0.053 0.000
-4.484 7.762 -0.003
-0.001 -0.010 23.256
Na Y Ta Si S O
6 6 18 21 15 144
Direct
0.995 0.001 0.496 Na
0.496 0.003 0.992 Na
0.336 0.322 0.832 Na
0.824 0.337 0.831 Na
0.325 0.312 0.337 Na
0.835 0.350 0.340 Na
0.000 0.981 0.356 Y
0.501 0.020 0.854 Y
0.993 0.013 0.648 Y
0.495 0.985 0.152 Y
0.837 0.334 0.978 Y
0.335 0.337 0.478 Y
0.501 0.994 0.358 Ta
0.001 0.005 0.855 Ta
0.502 0.007 0.645 Ta
0.001 0.997 0.145 Ta
0.324 0.335 0.688 Ta
0.833 0.311 0.686 Ta
0.331 0.346 0.189 Ta
0.825 0.312 0.190 Ta
0.325 0.328 0.973 Ta
0.829 0.320 0.475 Ta
0.168 0.668 0.021 Ta
0.678 0.674 0.020 Ta
0.171 0.672 0.524 Ta
0.670 0.668 0.522 Ta
0.165 0.681 0.312 Ta
The materials data stop here.

Wisdom Within Counseling uses several techniques to help you overcome anxiety. Their counseling in southeast Connecticut focuses on holistic therapy, which is an integrative, mind-body approach combining creative, alternative, and positive psychotherapies with more traditional techniques.

Their out-of-the-box therapies that go beyond “couch therapy” include creative art, yoga, music, animals, and outdoor walk and talk therapies.

What comes next are records of crystals, not part of the page >
[1]
This record from the Materials Project describes crystalline Mg6NbFe at its relaxed geometry. The functional is PBE-GGA.

a = 4.673 Å, b = 5.968 Å, c = 10.877 Å
α = 90.00°, β = 90.00°, γ = 90.00°
Element x y z (fractional)
Mg1 0.000 0.760 0.580
Mg2 0.500 0.500 0.668
Fe1 0.000 0.000 0.804
Fe2 0.000 0.500 0.304
Mg3 0.000 0.740 0.080
Mg4 0.500 0.760 0.923
Mg5 0.000 0.000 0.328
Mg6 0.500 0.000 0.168
Mg7 0.500 0.260 0.423
Nb1 0.500 0.000 0.693
Mg8 0.500 0.240 0.923
Mg9 0.500 0.740 0.423
Mg10 0.000 0.240 0.580
Nb2 0.500 0.500 0.193
Mg11 0.000 0.260 0.080
Mg12 0.000 0.500 0.828

## Properties
Energy relative to the lowest polymorph listed for this composition in eV/atom: 0.000

[2]
This record from the Materials Project describes crystalline Mg6FeNi at its relaxed geometry. The functional is PBE-GGA.

a = 4.614 Å, b = 6.044 Å, c = 10.090 Å
α = 90.00°, β = 90.00°, γ = 90.00°
Element x y z (fractional)
Mg1 0.500 0.500 0.176
Mg2 0.500 0.253 0.408
Mg3 0.500 0.753 0.908
Fe1 0.000 0.500 0.332
Fe2 0.000 0.000 0.832
Mg4 0.000 0.751 0.584
Ni1 0.000 0.000 0.332
Ni2 0.000 0.500 0.832
Mg5 0.000 0.249 0.584
Mg6 0.500 0.500 0.676
Mg7 0.000 0.251 0.084
Mg8 0.500 0.000 0.176
Mg9 0.500 0.247 0.908
Mg10 0.000 0.749 0.084
Mg11 0.500 0.747 0.408
Mg12 0.500 0.000 0.676

## Properties
Energy relative to the lowest polymorph listed for this composition in eV/atom: 0.052

[3]
This record from the Materials Project describes crystalline Mg14FeNi at its relaxed geometry. The functional is PBE-GGA.

a = 6.146 Å, b = 6.146 Å, c = 9.693 Å
α = 90.00°, β = 90.00°, γ = 120.00°
Element x y z (fractional)
Mg1 0.324 0.176 0.876
Fe1 0.167 0.333 0.125
Mg2 0.833 0.667 0.876
Mg3 0.852 0.176 0.876
Mg4 0.324 0.648 0.876
Mg5 0.666 0.332 0.125
Mg6 0.324 0.176 0.374
Ni1 0.167 0.333 0.625
Mg7 0.833 0.667 0.374
Mg8 0.667 0.333 0.625
Mg9 0.167 0.833 0.625
Mg10 0.852 0.176 0.374
Mg11 0.666 0.834 0.125
Mg12 0.324 0.648 0.374
Mg13 0.667 0.833 0.625
Mg14 0.168 0.834 0.125

## Properties
Energy relative to the lowest polymorph listed for this composition in eV/atom: 0.047
Space group: P-6m2 (187)

[4]
This record from the Materials Project describes crystalline Mg6FeNi at its relaxed geometry. The functional is PBE-GGA.

a = 6.131 Å, b = 6.131 Å, c = 4.708 Å
α = 90.00°, β = 90.00°, γ = 122.36°
Element x y z (fractional)
Mg1 0.149 0.326 0.500
Mg2 0.674 0.851 0.500
Fe1 0.687 0.313 0.500
Mg3 0.167 0.833 0.500
Mg4 0.333 0.667 0.000
Mg5 0.827 0.646 0.000
Ni1 0.810 0.190 0.000
Mg6 0.354 0.173 0.000

## Properties
Energy relative to the lowest polymorph listed for this composition in eV/atom: 0.030
Space group: Amm2 (38)

[5]
This record from the Materials Project describes crystalline Mg14FeNi at its relaxed geometry. The functional is PBE-GGA.

a = 6.268 Å, b = 6.338 Å, c = 9.718 Å
α = 90.00°, β = 90.00°, γ = 120.37°
Element x y z (fractional)
Mg1 0.174 0.837 0.625
Mg2 0.719 0.360 0.125
Mg3 0.315 0.661 0.910
Mg4 0.315 0.154 0.340
Mg5 0.836 0.168 0.876
Mg6 0.315 0.154 0.910
Mg7 0.664 0.832 0.625

One specialized and unique therapy model they use for anxiety counseling in East Lyme, Ct., is dialectical behavioral therapy (DBT). This teaches the skill of self-compassion: how to be gentle with yourself and love yourself through your feelings. You learn how to identify and welcome anxiety instead of pushing it away.
And given that no man is an island, they can also help you improve your relationships with others, via holistic marriage counseling in Mystic, Connecticut, as well as family counseling.

Luckily there are several skills to learn and tips to use to help overcome anxiety, so you have the opportunity to pick and choose what works best for you to take back your personal power.